Entry 1:
The following is a calculated powder XRD pattern of Y3UHg3Te8. It was derived from a cell relaxed with GGA-PBE, using Cu Ka.
Lines closer than 0.1° are merged.

The 10 most intense peaks (10 to 90 degrees two-theta), low angle first:
two_theta  I_rel
12.3  20
23.2  8
27.8  100
37.6  28
37.6  13
41.6  34
50.8  19
62.0  10
67.7  16
73.3  11

```
data_Y3UHg3Te8
_cell_length_a 8.675
_cell_length_b 8.675
_cell_length_c 9.659
_cell_angle_alpha 116.62
_cell_angle_beta 116.62
_cell_angle_gamma 60.00
_space_group_name_H-M_alt 'P 1'
_space_group_IT_number 1
_space_group_name_Hall 'P 1'
loop_
_atom_site_label
_atom_site_type_symbol
_atom_site_fract_x
_atom_site_fract_y
_atom_site_fract_z
_atom_site_occupancy
Y1 Y 0.000 0.000 0.000 1
Y2 Y 0.000 0.500 0.000 1
Y3 Y 0.500 0.000 0.000 1
U1 U 0.500 0.500 0.000 1
Hg1 Hg 0.000 0.500 0.500 1
Hg2 Hg 0.500 0.000 0.500 1
Hg3 Hg 0.500 0.500 0.500 1
Te1 Te 0.239 0.239 0.216 1
Te2 Te 0.249 0.732 0.213 1
Te3 Te 0.268 0.268 0.787 1
Te4 Te 0.268 0.751 0.787 1
Te5 Te 0.732 0.249 0.213 1
Te6 Te 0.732 0.732 0.213 1
Te7 Te 0.751 0.268 0.787 1
Te8 Te 0.761 0.761 0.784 1
```



Entry 2:
The following is a calculated powder XRD pattern of ZnHg3Te4. It was derived from a cell relaxed with GGA-PBE, using Cu Ka.
Lines closer than 0.1° are merged.

The 10 most intense peaks (10 to 90 degrees two-theta), low angle first:
two_theta  I_rel
23.6  100
39.0  79
46.1  50
56.4  13
62.0  21
70.7  27
75.7  11
83.9  8
88.7  10
88.8  5

```
data_ZnHg3Te4
_cell_length_a 6.528
_cell_length_b 6.528
_cell_length_c 13.037
_cell_angle_alpha 90.00
_cell_angle_beta 90.00
_cell_angle_gamma 90.00
_space_group_name_H-M_alt 'P 1'
_space_group_IT_number 1
_space_group_name_Hall 'P 1'
loop_
_atom_site_label
_atom_site_type_symbol
_atom_site_fract_x
_atom_site_fract_y
_atom_site_fract_z
_atom_site_occupancy
Zn1 Zn 0.000 0.000 0.000 1
Zn2 Zn 0.500 0.500 0.500 1
Hg1 Hg 0.000 0.000 0.500 1
Hg2 Hg 0.000 0.500 0.250 1
Hg3 Hg 0.000 0.500 0.750 1
Hg4 Hg 0.500 0.000 0.250 1
Hg5 Hg 0.500 0.000 0.750 1
Hg6 Hg 0.500 0.500 0.000 1
Te1 Te 0.237 0.237 0.881 1
Te2 Te 0.237 0.763 0.119 1
Te3 Te 0.263 0.263 0.381 1
Te4 Te 0.263 0.737 0.619 1
Te5 Te 0.737 0.263 0.619 1
Te6 Te 0.737 0.737 0.381 1
Te7 Te 0.763 0.237 0.119 1
Te8 Te 0.763 0.763 0.881 1
```

=====

Starting from a crystal structure in Alexandria, relaxed with GGA-PBE, the powder X-ray diffraction pattern of Ba7Sb6 was simulated for Cu Kα (weighted mean of Kα1 and Kα2).

Peak list (10 most intense, 10 to 90 degrees two-theta, by angle)
two_theta, intensity, h k l
22.60, 67, 1 1 0
26.30, 75, 0 2 1
27.63, 82, 1 1 6
29.34, 63, 2 0 5
31.67, 48, 0 0 12
32.12, 100, 0 2 7
33.76, 55, 2 0 8
39.26, 39, 1 1 12
46.16, 71, 2 2 0
57.06, 56, 2 2 12

Cell lengths 7.8665, 7.8665, 33.9061 Å; angles 90.00, 90.00, 120.00 degrees
Space group R-3m (No. 166, hexagonal axes)
Unique sites:
1 Ba 0.0000 0.0000 0.0000
2 Ba 0.0119 0.5059 0.4280
3 Sb 0.0000 0.0000 0.1647
4 Sb 0.0000 0.0000 0.3307
5 Sb 0.0000 0.0000 0.4150

=====

No. 1
Computed X-ray powder pattern of P3Pb5BrO12 for copper Kα, from DFT lattice parameters and positions (GGA-PBE).
Neutral-atom scattering factors, no anomalous dispersion.

Largest 10 diffraction maxima, sorted by position, 10 to 90 degrees two-theta:
2theta	I/Imax
20.98	42
26.52	21
29.12	73
29.54	100
30.15	58
42.71	37
45.26	22
46.11	23
46.81	24
47.57	24

Structure:
abc: 10.2688 10.2688 7.4848
angles: 90.00 90.00 120.00
Space group P6_3 (No. 173)
One atom of each set of equivalent atoms:
P 0.0355 0.4146 0.0000 (multiplicity 6)
Pb 0.0145 0.7496 0.9673 (multiplicity 6)
Pb 0.3333 0.6667 0.2506 (multiplicity 2)
Pb 0.3333 0.6667 0.7393 (multiplicity 2)
Br 0.0000 0.0000 0.2286 (multiplicity 2)
O 0.0885 0.3748 0.1768 (multiplicity 6)
O 0.0889 0.3547 0.8405 (multiplicity 6)
O 0.1258 0.5923 0.9864 (multiplicity 6)
O 0.1357 0.6453 0.4962 (multiplicity 6)

No. 2
Computed X-ray powder pattern of Rb4LaTb3Se8 for copper Kα, from DFT lattice parameters and positions (GGA-PBE).
Could you work out how many lines further above have the word "Hg3" in them; a number is enough?
2